## Listing
+++
Record 1
{
  "formula": "C18H28O14",
  "method": "ωB97M-V/def2-TZVPD",
  "multiplicity": 2,
  "homo_ev": [-5.009, -4.214],
  "e_lumo_ev": [2.2, 2.0],
  "gap_ev": [7.2, 6.2],
  "charge": -1,
  "species": ["H", "H", "C", "H", "H", "C", "H", "C", "H", "H", "C", "H", "O", "H", "C", "H", "O", "O", "H", "H", "C", "O", "H", "O", "C", "H", "H", "H", "O", "H", "H", "H", "O", "O", "H", "O", "O", "C", "C", "C", "O", "C", "H", "H", "C", "H", "H", "C", "O", "O", "H", "C", "O", "C", "C", "C", "H", "H", "H", "C"],
  "positions_angstrom": [[3.78, 3.65, -1.83], [-2.19, -5.34, 3.23], [-3.20, -4.66, 1.50], [1.59, 3.62, -0.97], [-1.33, 0.75, 0.44], [-2.37, -2.36, 3.76], [-0.10, -4.15, 2.69], [0.47, 1.53, 2.38], [-4.17, -5.11, 1.68], [-1.18, -2.10, -3.01], [2.54, -0.46, 4.47], [-3.38, -3.81, 0.84], [-2.17, 1.49, -1.22], [-2.56, -5.23, 0.83], [1.08, 3.66, -1.93], [1.71, 2.24, 4.12], [1.46, -0.38, 5.23], [1.18, 6.90, -2.93], [-0.33, 0.15, 4.13], [1.18, 1.72, 1.57], [1.20, -1.15, -2.56], [0.86, 0.16, -4.38], [3.53, 2.07, -2.70], [-2.99, -3.48, 3.50], [-2.26, -4.38, 2.73], [1.71, 3.09, -3.93], [0.27, 1.23, 5.50], [0.96, -0.85, -1.54], [-2.80, -1.28, 4.23], [-3.15, -1.32, -0.73], [-0.29, 0.22, -2.79], [-1.21, -0.28, -1.03], [2.36, -0.72, -3.14], [0.45, 4.87, -2.12], [0.37, 2.84, -1.99], [-4.22, -0.34, 0.67], [2.89, 0.19, -5.24], [-1.85, 0.38, -0.45], [-3.02, -0.63, 0.10], [0.52, 0.55, 4.69], [2.23, 5.06, -3.37], [3.44, 3.15, -2.74], [-1.90, -1.04, -3.90], [-0.56, -2.12, -4.71], [2.17, -0.13, -4.34], [-0.93, -3.10, 1.60], [0.08, 0.61, 1.93], [-0.91, -1.50, -3.88], [-1.09, -2.52, 3.48], [2.48, 0.53, 3.60], [1.20, -2.22, -2.71], [0.22, -0.51, -3.42], [3.49, -1.14, 4.55], [1.28, 1.35, 3.66], [2.07, 3.70, -3.10], [-1.01, -3.58, 2.57], [-2.62, -1.34, 0.82], [4.03, 3.52, -3.57], [-0.34, 2.24, 2.53], [1.33, 5.71, -2.81]]
}

Record 2
{
  "formula": "BF4H24O12",
  "method": "ωB97M-V/def2-TZVPD",
  "multiplicity": 1,
  "homo_ev": -8.005,
  "e_lumo_ev": 2.1,
  "gap_ev": 10.1,
  "relative_energy_kj_mol": 126.0,
  "charge": -1,
  "species": ["O", "H", "H", "H", "O", "B", "O", "O", "O", "H", "H", "H", "O", "O", "O", "H", "H", "O", "H", "F", "F", "F", "H", "H", "H", "O", "H", "H", "H", "H", "F", "H", "H", "H", "O", "O", "H", "H", "H", "H", "H"],
  "positions_angstrom": [[10.70, 0.34, -16.94], [11.61, 1.58, -11.11], [9.81, 2.38, -12.43], [11.01, 0.15, -16.05], [13.29, -4.22, -15.28], [12.38, -1.15, -13.97], [13.35, 1.61, -11.63], [10.86, 2.01, -10.64], [10.74, -2.89, -17.66], [13.27, 1.09, -12.45], [10.36, 1.28, -10.25], [15.12, -1.58, -16.91], [8.88, -2.01, -12.89], [16.31, -2.93, -13.61], [15.96, -0.53, -12.32], [13.21, -3.93, -11.87], [8.58, -2.37, -13.73], [15.85, -1.59, -16.29], [15.68, -2.20, -13.63], [12.17, -1.28, -15.36], [12.21, 0.22, -13.64], [13.69, -1.57, -13.73], [13.18, -3.59, -14.56], [16.04, 0.35, -12.68], [13.04, -5.36, -11.36], [13.85, 0.81, -16.23], [13.72, 1.00, -10.98], [11.54, -2.95, -18.19], [9.82, -1.82, -13.03], [16.40, -3.13, -12.68], [11.48, -1.94, -13.25], [13.31, 0.14, -15.78], [15.49, -2.02, -15.50], [10.32, 1.84, -13.76], [12.70, -4.74, -12.01], [9.53, 2.18, -13.34], [14.48, 1.09, -15.57], [12.47, -4.16, -15.78], [15.30, -0.46, -11.63], [10.79, -2.00, -17.27], [10.85, 1.28, -17.06]]
}

Record 3
{
  "formula": "C2H9N2S",
  "method": "ωB97M-V/def2-TZVPD",
  "multiplicity": 1,
  "homo_ev": -13.195,
  "e_lumo_ev": -3.3,
  "gap_ev": 9.9,
  "relative_energy_kj_mol": 117.4,
  "charge": 1,
  "species": ["H", "C", "H", "H", "N", "H", "S", "H", "H", "C", "H", "H", "N", "H"],
  "positions_angstrom": [[0.63, -0.83, -1.42], [-0.17, 1.06, 0.78], [1.40, -2.91, 0.20], [-2.11, 1.63, 1.34], [-1.12, 1.64, 1.63], [-1.28, 1.06, -1.01], [0.48, -2.95, -0.75], [0.79, 0.81, 1.30], [1.57, 0.27, -0.76], [-0.35, 0.79, -0.54], [-0.49, -2.73, 0.14], [0.98, 0.59, -2.23], [0.72, 0.19, -1.33], [-1.05, 1.39, 2.62]]
}

Record 4
{
  "formula": "C3Cl3O",
  "method": "ωB97M-V/def2-TZVPD",
  "multiplicity": 1,
  "homo_ev": [-15.943, -15.940],
  "e_lumo_ev": [-8.5, -8.5],
+++

## Wanted
Duplicate only the lines further up with the word "C2H9N2S" in them, please.

## Completed
  "formula": "C2H9N2S",